[To do]
Print only the lines further below with the word "Pr" in them, please.

[Excerpt]
~~~
CaUF6: calculated powder diffractogram (Cu Kα X-rays), based on DFT lattice parameters and positions (PBE).
No peak broadening, texture or thermal motion is included.

Top 10 peaks for 2θ = 10–80°, sorted by position:
two_theta	d_spacing	I (rel.)
12.4	7.151	768
24.9	3.576	297
25.2	3.532	558
28.2	3.167	1000
35.7	2.513	286
44.4	2.039	420
45.9	1.976	488
46.3	1.961	198
51.6	1.771	253
53.4	1.714	180

Structural model:
abc: 4.0782 4.0782 7.1514
angles: 90.00 90.00 120.00
Space group P-6m2 (No. 187)
Asymmetric unit:
Ca 0.0000 0.0000 0.0000 (multiplicity 1)
U 0.6667 0.3333 0.5000 (multiplicity 1)
F 0.0000 0.0000 0.3366 (multiplicity 2)
F 0.3333 0.6667 0.0000 (multiplicity 1)
F 0.3333 0.6667 0.5000 (multiplicity 1)
F 0.6667 0.3333 0.2004 (multiplicity 2)

***

Li2NbP5O15: calculated powder diffractogram (Cu Kα X-rays), based on DFT lattice parameters and positions (PBE).
No peak broadening, texture or thermal motion is included.

Top 10 peaks for 2θ = 10–80°, sorted by position:
two_theta	d_spacing	I (rel.)
10.2	8.699	1000
13.1	6.782	527
16.6	5.349	804
17.8	4.973	539
20.4	4.349	889
21.4	4.151	457
22.2	4.011	948
25.2	3.528	894
31.4	2.848	474
32.0	2.801	373

Structural model:
abc: 5.365 13.565 8.892
angles: 90.00 101.97 90.00
Space group P2_1/m (No. 11)
Asymmetric unit:
Li 0.057 0.122 0.087 (multiplicity 4)
Nb 0.500 0.000 0.500 (multiplicity 2)
P 0.004 0.142 0.515 (multiplicity 4)
P 0.337 0.078 0.819 (multiplicity 4)
P 0.458 0.750 0.984 (multiplicity 2)
O 0.063 0.250 0.461 (multiplicity 2)
O 0.126 0.074 0.417 (multiplicity 4)
O 0.150 0.143 0.690 (multiplicity 4)
O 0.186 0.038 0.929 (multiplicity 4)
O 0.197 0.750 0.883 (multiplicity 2)
O 0.278 0.632 0.490 (multiplicity 4)
O 0.300 0.250 0.076 (multiplicity 2)
O 0.459 0.658 0.103 (multiplicity 4)
O 0.485 0.008 0.737 (multiplicity 4)

***

Eu3As4: calculated powder diffractogram (Cu Kα X-rays), based on DFT lattice parameters and positions (PBE).
No peak broadening, texture or thermal motion is included.

Top 10 peaks for 2θ = 10–80°, sorted by position:
two_theta	d_spacing	I (rel.)
22.6	3.926	246
24.4	3.644	285
28.6	3.124	911
33.4	2.685	897
33.5	2.677	932
37.9	2.372	1000
44.4	2.038	658
49.1	1.855	404
59.8	1.548	236
59.9	1.545	258

Structural model:
abc: 5.776 14.585 9.102
angles: 90.00 108.47 90.00
Space group Cc (No. 9)
Asymmetric unit:
Eu 0.000 0.122 0.000 (multiplicity 4)
Eu 0.205 0.376 0.833 (multiplicity 4)
Eu 0.369 0.131 0.668 (multiplicity 4)
As 0.002 0.284 0.511 (multiplicity 4)
As 0.203 0.211 0.332 (multiplicity 4)
As 0.365 0.456 0.162 (multiplicity 4)
As 0.497 0.033 0.992 (multiplicity 4)

***

BaSrPrBiO6: calculated powder diffractogram (Cu Kα X-rays), based on DFT lattice parameters and positions (PBE).
No peak broadening, texture or thermal motion is included.

Top 10 peaks for 2θ = 10–80°, sorted by position:
two_theta	d_spacing	I (rel.)
17.3	5.113	50
20.1	4.428	109
28.5	3.131	1000
33.6	2.670	26
40.8	2.214	296
45.8	1.980	51
50.5	1.808	422
59.0	1.565	191
66.8	1.400	189
74.2	1.278	63

Structural model:
abc: 8.856 8.856 8.856
angles: 90.00 90.00 90.00
Space group F-43m (No. 216)
Asymmetric unit:
Ba 0.000 0.000 0.000 (multiplicity 4)
Sr 0.000 0.000 0.500 (multiplicity 4)
Pr 0.250 0.250 0.250 (multiplicity 4)
Bi 0.250 0.250 0.750 (multiplicity 4)
O 0.011 0.250 0.750 (multiplicity 24)


For Fe2TcAg, a cell relaxed with GGA-PBE gives the theoretical powder X-ray diffraction pattern in this record (Cu Kα (λ = 1.5418 Å)).
Lines closer than 0.1° are merged.

Peak list (10 most intense, 2θ from 10° to 90°, low angle first)
2θ = 24.06°, d = 3.698 Å, rel. 17; 2θ = 31.95°, d = 2.801 Å, rel. 11; 2θ = 40.40°, d = 2.233 Å, rel. 99; 2θ = 41.28°, d = 2.187 Å, rel. 100; 2θ = 46.62°, d = 1.948 Å, rel. 64; 2θ = 49.28°, d = 1.849 Å, rel. 29; 2θ = 70.17°, d = 1.341 Å, rel. 35; 2θ = 81.64°, d = 1.179 Å, rel. 19; 2θ = 83.39°, d = 1.159 Å, rel. 22; 2θ = 86.77°, d = 1.122 Å, rel. 11

Cell and atoms:
Lattice parameters (Å, degrees): 2.712 3.698 5.602 90.00 90.00 90.00
Space group Pmmm (No. 47)
~~~

[Solution]
Pr 0.250 0.250 0.250 (multiplicity 4)